The agribusiness lobby has taken a leaf from its urban peers and quietly got something it's wanted for years by sneaking in a few sentences into the latest appropriations bill.
The immigrant investor program (EB-5) keeps getting renewed without a single floor vote being taken, as its lobbyists keep placing the needed language deep within must-pass appropriations bills.
Meanwhile, the government, in a small effort over the years, has run a program to provide better housing for farm workers; it was designed with the migrant crews from the south in mind. Instead of doing the right thing — demanding that growers provide decent housing for their workers — the government decided to offer subsidies to growers who built better housing for their migrants. For decades everyone understood that this was for U.S. workers.
### Inserted here: crystal structures
/*
Hf3ZrSb2P2: calculated powder X-ray diffraction pattern (Cu Kα), based on a DFT-relaxed cell (GGA-PBE, OQMD).
Lines closer than 0.1° are merged.

```
Hf3ZrSb2P2
1.0
3.8148 0.0000 0.0000
-1.9074 3.3037 0.0000
0.0000 0.0000 13.2244
Hf Zr Sb P
3 1 2 2
direct
0.0000 0.0000 0.0000
0.0000 0.0000 0.2947
0.6667 0.3333 0.7970
0.6667 0.3333 0.5000
0.0000 0.0000 0.6501
0.6667 0.3333 0.1473
0.3333 0.6667 0.3951
0.3333 0.6667 0.8984
```

Top 10 peaks for 2θ from 5° to 70°, sorted by position:
h k l, Position (°2θ), I_rel
0 0 1, 6.68, 9
1 0 0, 26.99, 28
1 0 3, 33.91, 100
1 0 4, 38.52, 7
0 0 6, 40.95, 8
1 1 0, 47.68, 32
0 1 6, 49.73, 12
0 0 8, 55.62, 8
0 2 3, 59.79, 20
1 1 6, 64.62, 13

=====

(1)
Diffraction record for RbAuSO. The powder diffractogram is simulated, not measured: it uses the GGA-PBE geometry in OQMD and λ = 1.5418 Å (Cu Kα).

Structure:
```
data_RbAuSO
_cell_length_a 5.044
_cell_length_b 8.728
_cell_length_c 9.793
_cell_angle_alpha 90.00
_cell_angle_beta 95.18
_cell_angle_gamma 90.00
_symmetry_space_group_name_H-M 'P 1 21/c 1'
_symmetry_Int_Tables_number 14
_symmetry_space_group_name_Hall '-P 2ybc'
loop_
_atom_site_label
_atom_site_type_symbol
_atom_site_fract_x
_atom_site_fract_y
_atom_site_fract_z
Rb1 Rb 0.153 0.231 0.467
Au1 Au 0.499 0.051 0.215
S1 S 0.206 0.615 0.794
O1 O 0.328 0.733 0.384
```

The 12 most intense peaks (2θ from 10° to 90°), sorted by position:
2θ = 17.66°, 5.023 Å, I 57, hkl 1 0 0; 2θ = 18.19°, 4.877 Å, I 41, hkl 0 0 2; 2θ = 22.32°, 3.983 Å, I 25, hkl 0 2 1; 2θ = 24.26°, 3.669 Å, I 31, hkl 1 0 -2; 2θ = 26.35°, 3.382 Å, I 38, hkl 1 1 -2; 2θ = 26.60°, 3.351 Å, I 81, hkl 1 0 2; 2θ = 27.07°, 3.294 Å, I 78, hkl 1 2 0; 2θ = 27.43°, 3.252 Å, I 100, hkl 0 2 2; 2θ = 29.12°, 3.067 Å, I 30, hkl 1 2 1; 2θ = 31.87°, 2.808 Å, I 26, hkl 1 2 -2; 2θ = 35.73°, 2.513 Å, I 31, hkl 2 0 0; 2θ = 45.96°, 1.975 Å, I 26, hkl 1 4 -1



(2)
Diffraction record for NaSnHg3O4. The powder diffractogram is simulated, not measured: it uses the GGA-PBE geometry in OQMD and λ = 1.5418 Å (Cu Kα).

Structure:
```
data_NaSnHg3O4
_cell_length_a 5.966
_cell_length_b 5.966
_cell_length_c 5.966
_cell_angle_alpha 90.00
_cell_angle_beta 90.00
_cell_angle_gamma 90.00
_symmetry_space_group_name_H-M 'P -4 3 m'
_symmetry_Int_Tables_number 215
_symmetry_space_group_name_Hall 'P -4 2 3'
loop_
_atom_site_label
_atom_site_type_symbol
_atom_site_fract_x
_atom_site_fract_y
_atom_site_fract_z
Na1 Na 0.000 0.000 0.000
Sn1 Sn 0.500 0.500 0.500
Hg1 Hg 0.000 0.500 0.500
O1 O 0.302 0.302 0.302
```

The 12 most intense peaks (2θ from 10° to 90°), sorted by position:
*/
Thanks to a rider attached to the spending bill by Rep. Dan Newhouse (R-Wash.), the housing funded over the years by this program will now be thrown open to temporary foreign workers (the H-2As.) This will add yet another subsidy for agribusiness; not only do they get the H-2As for bargain prices, now some of the big firms will be able to house these workers in subsidized housing. Politico mentioned this development recently in a longer report on other matters.
Frankly, I had not paid attention to this little program — it apparently housed more than 46,000 people last year — in decades, and was saddened to learn of the new arrangement. I say this because I played a supporting role in getting the first funding for it. I was then, in 1965, the newly hired assistant to the U.S. secretary of Labor for farm labor — a position long since abolished.
I called the rural housing people in the Department of Agriculture and learned that there was a provision in the law for grants to growers for migrant housing, but also learned that no money had been voted for the program. The chairman of the House Appropriations Committee Subcommittee on Agriculture, Jamie Whitten (D-Miss.), had a lock on his subcommittees' decisions and was, frankly, a Dixiecrat with no interest in spending money on social programs. My allies at Agriculture said that they would like the little program to be funded, but felt they could not spend any political capital on nudging Whitten toward supporting it.
It happened that the year before I had been on the staff of the Democratic National Committee during LBJ's election campaign. In the course of that I had been helpful to one of Lady Bird Johnson's relatives who had been given the unenviable task of organizing Mississippi for LBJ — one of the few states he lost that year. I have now forgotten the guy's name but he remembered me when I called, probably in the summer of 1965, and told him that Whitten was blocking the LBJ administration's program on this small front.
He was sympathetic, knew Whitten, and said he was going to be spending most of a day with him the following week in some activity. He agreed to broach the subject with the crusty congressman.
Lady Bird's relative called back a few days later saying that Whitten had agreed, on a trial basis, to let the little program have — as I recall — $2 million. It has grown a bit since.
____________
No. 1
Starting from a crystal structure in Alexandria, relaxed with PBE, the X-ray diffraction stick pattern of CaPb2Au4 was computed for a wavelength of 1.5418 Å.
Lines closer than 0.1° are merged.

Cell and atoms:
Cell lengths 9.6292, 9.6292, 5.5103 Å; angles 90.45, 90.45, 40.70 degrees
Positions (direct):
1 Ca 0.2334 0.7666 0.7500
2 Ca 0.7666 0.2334 0.2500
3 Pb 0.1545 0.4342 0.7524
4 Pb 0.4342 0.1545 0.2524
5 Pb 0.5658 0.8455 0.7476
6 Pb 0.8455 0.5658 0.2476
7 Au 0.1292 0.1332 0.5022
8 Au 0.1332 0.1292 0.0022
9 Au 0.2770 0.5655 0.2465
10 Au 0.4345 0.7230 0.2535
11 Au 0.5655 0.2770 0.7465
12 Au 0.7230 0.4345 0.7535
13 Au 0.8668 0.8708 0.9978
14 Au 0.8708 0.8668 0.4978

Top 10 peaks for 10° ≤ 2θ ≤ 90°, by intensity:
2θ (°)	intensity
32.83	100.0
37.35	88.3
35.58	78.0
32.43	73.3
32.63	59.3
40.73	40.5
38.46	36.7
42.49	29.1
19.67	28.7
33.32	28.0

No. 2
Starting from a crystal structure in Alexandria, relaxed with PBE, the X-ray diffraction stick pattern of CaPb2Au2 was computed for a wavelength of 1.5418 Å.
Lines closer than 0.1° are merged.

Cell and atoms:
Cell lengths 5.1000, 5.1443, 10.2318 Å; angles 90.00, 90.00, 90.00 degrees
Positions (direct):
1 Ca 0.2500 0.2500 0.1730
2 Ca 0.7500 0.7500 0.8270
3 Pb 0.2500 0.2500 0.5105
4 Pb 0.2500 0.2500 0.8342
5 Pb 0.7500 0.7500 0.1658
6 Pb 0.7500 0.7500 0.4895
7 Au 0.2500 0.7500 0.0083
8 Au 0.2500 0.7500 0.6594
9 Au 0.7500 0.2500 0.3406
10 Au 0.7500 0.2500 0.9917

Top 10 peaks for 10° ≤ 2θ ≤ 90°, by intensity:
2θ (°)	intensity
36.18	100.0
19.45	30.5
34.88	28.1
35.19	27.5
50.39	20.7
63.39	19.9
63.79	19.6
24.54	19.4
76.78	12.4
53.77	11.9

No. 3
Starting from a crystal structure in Alexandria, relaxed with PBE, the X-ray diffraction stick pattern of CaPbAu was computed for a wavelength of 1.5418 Å.
Lines closer than 0.1° are merged.

Cell and atoms:
Cell lengths 14.3441, 4.0639, 8.1330 Å; angles 90.00, 90.00, 90.00 degrees
Positions (direct):
1 Ca 0.0544 0.0000 0.2209
2 Ca 0.2500 0.0000 0.8209
3 Ca 0.4456 0.0000 0.2209
4 Ca 0.5544 0.0000 0.7791
5 Ca 0.7500 0.0000 0.1791
6 Ca 0.9456 0.0000 0.7791
7 Pb 0.1134 0.5000 0.5592
8 Pb 0.2500 0.5000 0.1640
9 Pb 0.3866 0.5000 0.5592
10 Pb 0.6134 0.5000 0.4408
11 Pb 0.7500 0.5000 0.8360
12 Pb 0.8866 0.5000 0.4408
13 Au 0.0902 0.5000 0.9266
14 Au 0.2500 0.0000 0.4321
15 Au 0.4098 0.5000 0.9266
16 Au 0.5902 0.5000 0.0734
17 Au 0.7500 0.0000 0.5679
18 Au 0.9098 0.5000 0.0734

Top 10 peaks for 10° ≤ 2θ ≤ 90°, by intensity:
2θ (°)	intensity
21.87	100.0
33.32	73.1
38.16	68.9
30.90	65.4
21.56	60.1
40.21	50.3
40.49	47.5
44.59	44.5
60.10	43.9
37.62	41.4

No. 4
Starting from a crystal structure in Alexandria, relaxed with PBE, the X-ray diffraction stick pattern of Ca3PbAu4 was computed for a wavelength of 1.5418 Å.
Lines closer than 0.1° are merged.

Cell and atoms:
Cell lengths 8.9001, 8.9001, 8.9001 Å; angles 33.44, 33.44, 33.44 degrees
Positions (direct):
1 Ca 0.0000 0.0000 0.0000
2 Ca 0.2446 0.2446 0.2446
3 Ca 0.7554 0.7554 0.7554
4 Pb 0.5000 0.5000 0.5000
____________
Sometimes decisions in the nation's capital are made in just this way.